/ 14 June 2024

Editorial: Let maturity reign

February 26 2020 Budget Media Briefing Parliament, Cape Town. Photo By David Harrison
File photo by David Harrison/M&G

The Mail & Guardian’s editorials have over the years regularly decried South Africa’s puerile political landscape. Too often it has been childish, churlish and driven by self-interest. We treat our politics like we treat our football. A league of teams to slavishly follow, and colours to brandish, despite their performance

We are at our worst when we are at the stadium; boorish and unthinking. It makes for an innocent, great day out … but terrible governance.

And so, more than anything else, we can appreciate the maturity of the last week and a bit. 

The assembly of South Africa’s imminent government of national unity (GNU) has proceeded orderly, for the most part, and brings a semblance of stability to this uncertain moment in our history. 

Those who have demonstrated a willingness to negotiate in good faith will now slot into the leadership infrastructure. Anyone who remains obstinate will be left in the cold.

With chaos so often the chief currency of our times, the achievement is worth tentatively applauding.

Of course, the principal players did not get here on their own speed. The ANC’s stubbornness, defunct introspective ability and failure to clean its own house cost the party its majority. 

On the evidence of the irresolute Ramaphosa years, there would have been no effort to rupture the status quo had voters not compelled it on 29 May.

**Next to the page, the page also holds calculated molecules:**
~~~
No. 1
# C14H26Cl10O3

A molecular structure, C14H26Cl10O3 at a distorted geometry (ωB97M-V/def2-TZVPD, the Open Molecules 2025 dataset).

Last column: Mulliken charge in e.
Atoms and positions in Å:
1 H 1.257 1.806 -0.026  0.1489
2 H -2.379 -0.390 2.194  -0.0667
3 H -1.335 0.883 -1.324  0.0355
4 H 2.617 0.227 -2.220  0.2524
5 Cl 0.997 -2.855 -0.209  -0.4419
6 H 4.176 -0.526 -1.844  0.3491
7 H -3.694 2.312 2.730  0.6138
8 H 3.317 -5.545 0.768  0.4074
9 Cl 3.786 -3.267 -2.622  -0.1999
10 Cl -3.015 2.468 -1.372  -0.2040
11 H -1.042 5.701 -0.525  0.3735
12 C 1.871 0.979 0.333  -1.2046
13 C -3.205 0.242 2.521  0.0626
14 H 2.611 -3.294 1.626  0.4267
15 O 0.844 -1.149 0.206  0.1078
16 Cl 0.632 4.970 -1.918  -0.2060
17 H 2.509 1.351 1.135  0.4773
18 C 2.403 -3.592 0.598  -0.3601
19 H -0.167 2.867 -0.229  -0.6384
20 O -1.054 -0.529 1.014  -0.4296
21 H -3.246 0.026 3.589  0.4865
22 C 2.310 -5.141 0.664  -0.6054
23 Cl -1.314 2.123 3.181  -0.2124
24 H -0.233 -0.238 2.715  0.3900
25 Cl 1.166 -5.693 1.886  -0.2071
26 H 1.982 -5.599 -0.269  0.3136
27 Cl -1.815 3.574 1.255  -0.2732
28 C -0.159 0.197 1.719  0.7960
29 H 1.851 -2.092 -3.217  0.3945
30 H 2.018 -2.206 -1.572  -1.2029
31 H -2.301 0.805 0.088  -0.9178
32 H 1.922 -0.722 1.689  0.4043
33 H 2.556 0.683 -0.460  0.0870
34 C 3.284 -0.600 -2.466  -0.4213
35 Cl 3.868 -0.039 -4.066  -0.2125
36 C 1.172 -0.236 1.065  0.0491
37 C 2.621 -1.983 -2.452  1.2711
38 C -2.879 1.692 2.356  -0.1710
39 Cl -4.741 -0.260 1.777  -0.1630
40 H -1.586 4.448 -1.607  0.1605
41 C -3.013 -0.289 -1.797  -0.4708
42 H -0.363 1.259 1.578  -0.7550
43 Cl -4.870 -0.355 -1.582  -0.2247
44 H 3.229 -3.443 -0.098  0.1673
45 C -0.434 3.834 0.196  0.2716
46 H -2.663 2.073 1.358  -0.1798
47 C -0.763 4.739 -0.954  -0.3309
48 H -2.707 -0.186 -2.838  0.5073
49 O -0.969 -1.688 -0.941  -0.7339
50 C -0.408 -1.222 0.044  0.3909
51 H 0.398 4.272 0.747  0.5972
52 C -2.375 0.865 -0.997  1.0365
53 H -2.670 -1.255 -1.427  0.2547

Properties
energy relative to the best compared isomer or geometry (same formula, charge and spin) = 13.297 eV
2S+1 = 1


No. 2
# C14H26Cl2FN2O5PS2

3 unconnected molecules or ions with the total composition C14H26Cl2FN2O5PS2 at a distorted geometry (ωB97M-V/def2-TZVPD, the Open Molecules 2025 dataset).

Last column: Mulliken charge in e.
Atoms and positions in Å:
1 O -3.267 -1.398 2.972  -0.5068
2 H 3.471 4.718 -0.021  0.3049
3 O 3.121 2.726 -0.243  -0.3574
4 C -0.603 -1.913 -3.225  -0.2772
5 H -1.766 -3.535 -2.356  0.3905
6 H 4.556 0.623 -2.603  0.3220
7 H 2.334 -0.075 0.763  0.1821
8 O 4.851 -0.312 -2.551  -0.4055
9 C 0.630 -2.718 -2.673  -1.2193
10 H -1.858 -2.783 4.751  0.3079
11 Cl -4.926 0.576 -1.694  -0.2457
12 C 2.233 -0.912 -1.618  0.5524
13 H -0.501 -0.840 -2.967  0.1959
14 O -2.889 0.193 -3.731  -0.5475
15 H 1.358 -2.823 -3.509  0.2625
16 H -0.534 -1.966 -4.334  0.3502
17 H 2.559 2.043 0.138  0.0592
18 H 2.538 3.025 2.356  0.2903
19 S 3.238 -0.725 -0.042  -0.0445
20 O -2.072 0.797 -1.559  -0.4493
~~~

There is no escaping the cynical reality that a government of national unity is politically expedient for all involved. The ANC retains a grasp on power, the opposition becomes a player in government without making an ideological commitment to a coalition, and everyone is gratified that Jacob Zuma has been kept at bay.

Yet even with those caveats, the resolutions of the past few days demonstrate a rare level of responsibility — and arguably are the closest any alliance could come to constituting the will of the people. 

Calculated molecules from another source follow
Entry 1:
8
Properties=species:S:1:pos:R:3:mulliken_charge:R:1 method="wB97M-V/def2-TZVPD" homo_energy_ev="-8.593 / -8.512" fmax_ev_per_a=3.26 orbital_gap_ev="7.177 / 7.100" total_charge=0
C 0.41211 -0.09403 -0.14361 -0.561
N 1.33865 0.84968 -0.76876 -0.427
F 3.40702 -1.97967 0.82374 -0.249
S 4.10438 -1.33708 -0.58316 0.012
I 3.04608 0.88131 0.04281 0.497
H 0.08321 -0.71495 -1.10755 0.197
H -0.48968 0.58996 0.17479 0.191
H 0.85965 -0.77708 0.58098 0.340

Entry 2:
63
Properties=species:S:1:pos:R:3:mulliken_charge:R:1 method="wB97M-V/def2-TZVPD" homo_energy_ev="-7.750 / -8.181" fmax_ev_per_a=0.70 orbital_gap_ev="5.581 / 5.924" spin_multiplicity=2 total_charge=0
Ir -0.00500 0.30437 0.01509 0.700
C 2.65864 -3.16780 -0.25726 -0.605
C 2.20571 -1.85740 -0.42612 0.129
N 0.91811 -1.55800 -0.29558 0.018
C 0.06010 -2.59939 -0.06996 0.036
C 0.54813 -3.87801 0.09248 -0.376
N 1.84568 -4.17095 0.01985 -0.641
C -1.37042 -2.25418 -0.02381 0.254
C -2.44965 -3.11944 -0.00855 -0.511
C -3.74919 -2.61185 0.02780 1.357
C -3.91356 -1.22278 0.03834 -0.726
C -2.80548 -0.40048 -0.00901 0.086
N -1.57668 -0.93537 -0.03956 0.098
C -2.79494 1.07481 -0.01629 0.114
C -3.92580 1.87554 -0.05092 -0.097
N -3.86343 3.19915 -0.00363 -0.610
C -2.65586 3.74335 0.07276 -0.428
C -1.49526 2.98275 0.07520 -0.103
N -1.57248 1.65804 0.01741 -0.446
C -4.92903 -3.52117 0.04290 0.962
C -6.23313 -3.03210 0.00881 -0.534
C -7.29650 -3.92051 0.01677 -0.430
N -7.15830 -5.24074 0.05360 -0.617
C -5.91594 -5.70926 0.08702 -0.416
C -4.78664 -4.90643 0.08389 -0.556
H 3.72034 -3.36434 -0.32396 0.481
H 2.89146 -1.05900 -0.65248 0.274
H -0.12573 -4.69783 0.30763 0.413
H -2.26712 -4.18164 -0.02189 0.306
H -4.89491 -0.78065 0.09582 0.342
H -4.91255 1.43611 -0.12267 0.389
H -2.59883 4.82224 0.13295 0.412
H -0.49365 3.39208 0.11915 0.324
H -6.45232 -1.97580 -0.02971 0.282
H -8.31272 -3.54458 -0.01007 0.377
H -5.81024 -6.78749 0.11818 0.381
H -3.82017 -5.38611 0.11773 0.294
F -1.03812 0.98638 2.56126 -0.319
C -0.20806 0.03083 2.03855 0.515
F -0.79328 -1.16460 2.40505 -0.307
C 1.08533 0.06603 2.89677 0.610
F 1.84389 -0.98889 2.61237 -0.220
F 1.75731 1.19154 2.73012 -0.199
F 0.73859 -0.01840 4.19105 -0.292
N 1.18940 1.75586 -0.26793 -0.229
C 2.20436 2.19075 -1.00424 0.326
C 2.85665 3.39731 -0.62816 -0.067
C 3.89608 3.89408 -1.37774 -0.760
C 4.33261 3.20518 -2.50730 -0.265
C 3.72354 2.00897 -2.88972 -0.853
C 2.66787 1.51303 -2.16584 0.098
H 2.52932 3.88908 0.27793 0.415
H 4.39353 4.80574 -1.07632 0.374
H 5.16024 3.59308 -3.08599 0.386
H 4.09778 1.46206 -3.74450 0.383
H 2.18501 0.58406 -2.44705 0.350
F 3.40499 0.18691 0.80811 -0.678
As 5.16731 0.12365 0.77512 2.238
F 5.20653 0.54209 2.44686 -0.493
F 5.04279 -1.57340 1.18259 -0.516
F 5.21350 1.79126 0.31768 -0.451
F 5.02947 -0.33376 -0.91804 -0.490
F 6.88175 0.00846 0.69255 -0.492

Entry 3:
11
Properties=species:S:1:pos:R:3:mulliken_charge:R:1 method="wB97M-V/def2-TZVPD" homo_energy_ev=-9.516 fmax_ev_per_a=1.01 orbital_gap_ev=9.523 total_charge=0

The point of a representative democracy is to embolden the eclectic views of a nation; at least in theory, the government of national unity protects that mandate.

That is where our praise stops. We expect the new government to work. Ramaphosa has promised that a list of principles will advance “the building of a united, democratic, non-racial, non-sexist and prosperous nation”. 

We have been burned too many times to take those words at face value or take it for granted that the maturity of the past week will sustain itself. We plead with the new representatives of the people to make believers out of us.